**Activity:**
Could you retype all of the lines further down word for word?

**Listing:**
- - -
[1]
DFT (PBE) results for a geometry-optimized GdErNiPt structure.

The structure in POSCAR format:
```
GdErNiPt
1.0
4.8784 0.0000 0.0000
2.4392 4.2248 0.0000
2.4392 1.4083 3.9832
Pt Ni Gd Er
1 1 1 1
direct
0.7500 0.7500 0.7500 Pt
0.2500 0.2500 0.2500 Ni
0.5000 0.5000 0.5000 Gd
0.0000 0.0000 0.0000 Er
```

Output
- V (A^3/atom) = 20.52
- crystal system = cubic
- SG = F-43m (216)

[2]
DFT (PBE) results for a geometry-optimized GdErNiRh structure.

The structure in POSCAR format:
```
GdErNiRh
1.0
4.8246 0.0000 0.0000
2.4123 4.1783 0.0000
2.4123 1.3928 3.9393
Ni Er Rh Gd
1 1 1 1
direct
0.2500 0.2500 0.2500 Ni
0.0000 0.0000 0.0000 Er
0.7500 0.7500 0.7500 Rh
0.5000 0.5000 0.5000 Gd
```

Output
- V (A^3/atom) = 19.85
- crystal system = cubic
- SG = F-43m (216)

[3]
DFT (PBE) results for a geometry-optimized GdErNiRu structure.

The structure in POSCAR format:
```
GdErNiRu
1.0
4.7972 0.0000 0.0000
2.3986 4.1545 0.0000
2.3986 1.3848 3.9169
Er Ni Ru Gd
1 1 1 1
direct
0.7500 0.7500 0.7500 Er
0.5000 0.5000 0.5000 Ni
0.0000 0.0000 0.0000 Ru
0.2500 0.2500 0.2500 Gd
```

Output
- V (A^3/atom) = 19.52
- crystal system = cubic
- SG = F-43m (216)

[4]
DFT (PBE) results for a geometry-optimized GdErNiSn structure.

The structure in POSCAR format:
```
GdErNiSn
1.0
5.0947 0.0000 0.0000
2.5474 4.4122 0.0000
2.5474 1.4707 4.1598
Gd Sn Er Ni
1 1 1 1
direct
0.5000 0.5000 0.5000 Gd
0.2500 0.2500 0.2500 Sn
0.0000 0.0000 0.0000 Er
0.7500 0.7500 0.7500 Ni
```

Output
- V (A^3/atom) = 23.38
- crystal system = cubic
- SG = F-43m (216)

[5]
DFT (PBE) results for a geometry-optimized GdErTcNi structure.

The structure in POSCAR format:
```
GdErTcNi
1.0
4.8031 0.0000 0.0000
2.4016 4.1596 0.0000
2.4016 1.3865 3.9217
Tc Ni Gd Er
1 1 1 1
direct
0.7500 0.7500 0.7500 Tc
0.2500 0.2500 0.2500 Ni
0.0000 0.0000 0.0000 Gd
0.5000 0.5000 0.5000 Er
```

Output
- V (A^3/atom) = 19.59
- crystal system = cubic
- SG = F-43m (216)

[6]
DFT (PBE) results for a geometry-optimized Gd2ErNp structure.

The structure in POSCAR format:
```
Gd2ErNp
1.0
-1.0140 3.0393 -1.0629
-3.2947 0.6690 -0.3044
-1.6986 5.1525 10.9928
Er Gd Np
1 2 1
direct
0.5000 0.5000 0.5000 Er
0.5913 0.5913 0.2262 Gd
0.4087 0.4087 0.7738 Gd
0.0000 0.0000 0.0000 Np
```
- - -

**Worked solution:**
[1]
DFT (PBE) results for a geometry-optimized GdErNiPt structure.

The structure in POSCAR format:
```
GdErNiPt
1.0
4.8784 0.0000 0.0000
2.4392 4.2248 0.0000
2.4392 1.4083 3.9832
Pt Ni Gd Er
1 1 1 1
direct
0.7500 0.7500 0.7500 Pt
0.2500 0.2500 0.2500 Ni
0.5000 0.5000 0.5000 Gd
0.0000 0.0000 0.0000 Er
```

Output
- V (A^3/atom) = 20.52
- crystal system = cubic
- SG = F-43m (216)

[2]
DFT (PBE) results for a geometry-optimized GdErNiRh structure.

The structure in POSCAR format:
```
GdErNiRh
1.0
4.8246 0.0000 0.0000
2.4123 4.1783 0.0000
2.4123 1.3928 3.9393
Ni Er Rh Gd
1 1 1 1
direct
0.2500 0.2500 0.2500 Ni
0.0000 0.0000 0.0000 Er
0.7500 0.7500 0.7500 Rh
0.5000 0.5000 0.5000 Gd
```

Output
- V (A^3/atom) = 19.85
- crystal system = cubic
- SG = F-43m (216)

[3]
DFT (PBE) results for a geometry-optimized GdErNiRu structure.

The structure in POSCAR format:
```
GdErNiRu
1.0
4.7972 0.0000 0.0000
2.3986 4.1545 0.0000
2.3986 1.3848 3.9169
Er Ni Ru Gd
1 1 1 1
direct
0.7500 0.7500 0.7500 Er
0.5000 0.5000 0.5000 Ni
0.0000 0.0000 0.0000 Ru
0.2500 0.2500 0.2500 Gd
```

Output
- V (A^3/atom) = 19.52
- crystal system = cubic
- SG = F-43m (216)

[4]
DFT (PBE) results for a geometry-optimized GdErNiSn structure.

The structure in POSCAR format:
```
GdErNiSn
1.0
5.0947 0.0000 0.0000
2.5474 4.4122 0.0000
2.5474 1.4707 4.1598
Gd Sn Er Ni
1 1 1 1
direct
0.5000 0.5000 0.5000 Gd
0.2500 0.2500 0.2500 Sn
0.0000 0.0000 0.0000 Er
0.7500 0.7500 0.7500 Ni
```

Output
- V (A^3/atom) = 23.38
- crystal system = cubic
- SG = F-43m (216)

[5]
DFT (PBE) results for a geometry-optimized GdErTcNi structure.

The structure in POSCAR format:
```
GdErTcNi
1.0
4.8031 0.0000 0.0000
2.4016 4.1596 0.0000
2.4016 1.3865 3.9217
Tc Ni Gd Er
1 1 1 1
direct
0.7500 0.7500 0.7500 Tc
0.2500 0.2500 0.2500 Ni
0.0000 0.0000 0.0000 Gd
0.5000 0.5000 0.5000 Er
```

Output
- V (A^3/atom) = 19.59
- crystal system = cubic
- SG = F-43m (216)

[6]
DFT (PBE) results for a geometry-optimized Gd2ErNp structure.

The structure in POSCAR format:
```
Gd2ErNp
1.0
-1.0140 3.0393 -1.0629
-3.2947 0.6690 -0.3044
-1.6986 5.1525 10.9928
Er Gd Np
1 2 1
direct
0.5000 0.5000 0.5000 Er
0.5913 0.5913 0.2262 Gd
0.4087 0.4087 0.7738 Gd
0.0000 0.0000 0.0000 Np
```